Your job: give back everything underneath exactly.

<<<
{
  "formula": "K2O",
  "functional": "PBE",
  "state": "relaxed",
  "lattice": [[3.697, 3.695, 0.000], [-3.697, 3.695, 0.000], [0.000, 3.611, 6.676]],
  "species": ["K", "K", "K", "K", "O", "O"],
  "frac_coords": [[0.076, 0.321, 0.852], [0.924, 0.679, 0.148], [0.321, 0.076, 0.352], [0.679, 0.924, 0.648], [0.871, 0.129, 0.250], [0.129, 0.871, 0.750]],
  "ef_ev_per_atom": -1.208,
  "vol_a3_per_atom": 30.4
}
>>>

{
  "formula": "K2O",
  "functional": "PBE",
  "state": "relaxed",
  "lattice": [[3.697, 3.695, 0.000], [-3.697, 3.695, 0.000], [0.000, 3.611, 6.676]],
  "species": ["K", "K", "K", "K", "O", "O"],
  "frac_coords": [[0.076, 0.321, 0.852], [0.924, 0.679, 0.148], [0.321, 0.076, 0.352], [0.679, 0.924, 0.648], [0.871, 0.129, 0.250], [0.129, 0.871, 0.750]],
  "ef_ev_per_atom": -1.208,
  "vol_a3_per_atom": 30.4
}